Importing green energy

Singapore is going to import low-carbon electricity soon; well, technically it already has been importing these electricity through some “small pilots”. The idea of importing electricity isn’t new. For a long time, Thailand had been importing power from Laos, developing hydroelectric plants there and building transmission lines into their network.

Most regional electricity markets started out first with interconnectors to help with load balancing, which also provides for imports and export. The Nord Pool in Nordic states started out that way. And the purpose of that had always been to enhance resilience and promote regional integration.

Singapore’s case is interesting because of the focus on securing green electrons. From a GHG Protocol carbon accounting standpoint for Nationally Determined Contributions to emission reduction, the electrons that are imported are carbon-free. This is because countries only need to care about Scope 1 emissions. That is to say the electricity exporting country will need to care about their energy mix and be responsible for the carbon emitted during the power generation process.

At the country level, all imported electricity is carbon free. But for companies consuming the electricity, things can be complicated. Do they use the grid emissions factor assuming the imported electricity is carbon-free? Are retailers who purchase the import electricity able to claim the power is carbon-free?

Because of these controversies, Singapore took the clear path of requiring the power imported to be from low-carbon sources / renewable sources. So hydroelectricity qualifies, and so does solar and wind. The challenging layer that Singapore added to the electricity importers is for the power to be firm; ie. the solar power cannot be just supplied in the day when the sun is shinning. The message is that we want green electricity but not the intermittency that comes with it. Nevertheless, managing the intermittency will come down to the importer rather than the exporter since the requirement comes from Singapore.

I do wonder if this whole musical chairs around who should own the cost or benefit to the matter of carbon emissions a big distraction from the world’s attempt to reduce carbon emissions though. If Singapore could simply develop more projects overseas and secure the relevant credits from other countries on a government-to-government basis, we could still create new instruments that could help to release more supply of green energy for companies in Singapore to meet their obligations.

At some point we need to cut through the whole posturing, learn to be strategic together as Team World and work on the problem of climate change together.

Plastic, cheap and perceptions

Singapore Airlines is trying to switch their in-flight dining serviceware to paper rather than the current single-use plastic and met with accusation of attempting to cut costs. There is an issue also of sacrificing in-flight experience of customers for the sake of costs despite profits.

There are a few dimensions to consider in the debate and wider issues around the consumerist culture and system we have created. For the longest time, it pays off for companies to upsell: by providing better materials, packaging, a little more space and convenience, they can sell at higher price than it costs them to deliver the service or product. In fact sometimes they spend additional costs to cheapen the alternative because encouraging you to consume more and creating the cheaper alternative simultaneously enhance their customer base without cannibalising on some of their profits.

But as we step into a world where sustainability matters increasingly, these values and strategies we used to leverage on becomes more complex. We no longer just trade off customer experience, price and the costs of providing that experience. Now we have to consider how much being sustainable adds or subtracts that experience, how perceptions will be reshaped. And how important this is, for our culture to shift towards more sustainable consumption.

Smoking and carbon emissions

When dealing with a global issue with local variations of a problem and the need to change culture the way we are trying to do with climate change, there are important lessons we can learn about curbing smoking, especially here in Singapore.

Before we go there however, I want to first envision a state of the world where carbon emissions become more like stigmatised like smoking. Carbon-emitting industries would be like the cousin or uncle we have who is our relative and we can’t quite shake off but still be puffing away, causing our clothes to smell and our lungs to be polluted. We would want them to smoke far from us but they will inevitably bring that odour and whiff of smoke, and also ash back to us.

As employers, we would have competent workers who are smokers – and while we know that they might be taking smoke breaks, we still need to keep them as they are largely productive. So they will continue to exist, but we can treat them a little badly to nudge them to reduce their carbon emissions. Currently, we’re definitely not doing enough.

Some ideas on how to treat the carbon-intense companies/industries like smokers:

  • Labels could be slapped on all of the products and service invoices of these companies – imagine going down the aisle of supermarkets and seeing these labels on the fresh beef packaging.
  • These industries could be made to situate together (maybe within a yellow box); and if they are not in that given zone, they cannot run processes that emits carbon dioxide above certain threshold.
  • Tax them based on escalating, progressive carbon tax rates; this is above
  • These companies are not allowed to emit carbon dioxide until they registered their business in the jurisdiction and operated for at least 21 years.

So consider if we are doing enough for climate change; compared to public health. Both concerns survival of a nation, of the entire mankind.

What would a net zero agrifood business look like?

Talking about creating net-zero businesses reminds me of the time when I wrote about zero-based thinking about the education system. Only by reconstructing what we want to achieve from scratch, can we try to uncover new innovations and ideas that we have been missing out to think about problems we have.

The agrifood industry supposedly produces about one-third of all the carbon emissions that humans are responsible for these days. We can try to think about where to cut emissions or we can consider how to overhaul things. One of the chief challenge of the world today is that we have been taking the theory of comparative advantage and trade too far, forgetting in part the risk of concentration, and the issues around carbon emissions of the logistics and supply chain. Once we start factoring in carbon costs, we can start considering more about growing and consuming local more because it might actually be worth the while.

Overspecialisation in the agrifood sector may bring about economic efficiencies at the expense of carbon emissions and food security. A long time ago, there were stories about fish being sent from the Nordic seas to China to be fillet only to be sold back in the Nordic states. It is a reflection of how capitalism have morphed our appreciation of craftsmanship, and our values around environmental stewardship.

So a net-zero agrifood business quite likely will have start from considering crop cycles, relevant crops to be growing for the local taste and preferences, and the techniques for cultivation, processing, and marketing these products. It will have to reduce distribution or tap on synergies with other nearby industries for distribution. It should concern itself with strong focus on quality and selection of robust crops.

[Materials data that have nothing to do with the page]
## Bi2Se3 (PBE-GGA)

Data for a geometry-optimized Bi2Se3 structure.

abc: 4.160 11.622 12.536
angles: 90.00 90.00 90.00
Sites, in units of the cell vectors:
Bi: 0.250 0.962 0.851
Bi: 0.750 0.038 0.149
Bi: 0.750 0.462 0.649
Bi: 0.250 0.538 0.351
Bi: 0.250 0.170 0.522
Bi: 0.750 0.830 0.478
Bi: 0.750 0.670 0.978
Bi: 0.250 0.330 0.022
Se: 0.250 0.305 0.712
Se: 0.750 0.695 0.288
Se: 0.750 0.805 0.788
Se: 0.250 0.195 0.212
Se: 0.250 0.952 0.374
Se: 0.750 0.048 0.626
Se: 0.750 0.452 0.126
Se: 0.250 0.548 0.874
Se: 0.250 0.865 0.051
Se: 0.750 0.135 0.949
Se: 0.750 0.365 0.449
Se: 0.250 0.635 0.551

Values from the calculation:
- Space group: Pnma, No. 62
- V: 30.30 Å³/atom
- Crystal system: orthorhombic
- Energy of formation: -3.21 eV per formula unit


VASP calculation (PBE-GGA) on BaSrEuBiO6 after structural relaxation.

Calculated values
corrected total energy (MP2020 scheme): -7.2950 eV per atom
uncorrected energy: -6.88 eV per atom
formation energy: -2.5506 eV per atom

a b c (Å): 8.749 8.749 8.749
angles (deg): 90.00 90.00 90.00
Space group F-43m (No. 216)
Inequivalent atoms, fractional coordinates:
Ba: 0.000 0.000 0.000 [4 per cell]
Sr: 0.000 0.000 0.500 [4 per cell]
Eu: 0.250 0.250 0.250 [4 per cell]
Bi: 0.250 0.250 0.750 [4 per cell]
O: 0.008 0.250 0.750 [24 per cell]


Entry 1:
A plane-wave DFT calculation with GGA+U was carried out for an optimized crystal structure of ScVSe2O8.

Summary:
- E_form (kcal/mol of atoms) = -49.2
- DFT total energy (Ry/atom) = -0.492

```
ScVSe2O8
1.0
16.238 0.000 0.000
0.000 6.727 0.000
0.000 0.377 6.793
Sc O Se V
4 32 8 4
direct
0.803 0.442 0.857
0.697 0.442 0.357
0.197 0.558 0.143
0.303 0.558 0.643
0.071 0.006 0.972
0.678 0.476 0.037
0.317 0.567 0.321
0.683 0.433 0.679
0.184 0.249 0.137
0.316 0.249 0.637
0.216 0.868 0.120
0.060 0.926 0.371
0.560 0.074 0.129
0.684 0.751 0.363
0.070 0.620 0.134
0.571 0.994 0.528
0.919 0.711 0.310
0.429 0.006 0.472
0.940 0.074 0.629
0.817 0.433 0.179
0.081 0.289 0.690
0.930 0.380 0.866
0.784 0.132 0.880
0.929 0.994 0.028
0.716 0.132 0.380
0.183 0.567 0.821
0.419 0.289 0.190
0.570 0.380 0.366
0.816 0.751 0.863
0.822 0.476 0.537
0.284 0.868 0.620
0.430 0.620 0.634
0.178 0.524 0.463
0.440 0.926 0.871
0.581 0.711 0.810
0.322 0.524 0.963
0.606 0.460 0.853
0.317 0.066 0.475
0.183 0.066 0.975
0.394 0.540 0.147
0.894 0.460 0.353
0.683 0.934 0.525
0.817 0.934 0.025
0.106 0.540 0.647
0.984 0.169 0.815
0.016 0.831 0.185
0.516 0.169 0.315
0.484 0.831 0.685
```

---

Entry 2:
A plane-wave DFT calculation with GGA+U was carried out for an optimized crystal structure of Mn3NbF6.

Summary:
- E_form (kcal/mol of atoms) = -46.1
- DFT total energy (Ry/atom) = -0.451

```
Mn3NbF6
1.0
-2.839 -4.961 1.838
-2.794 4.698 -1.669
0.436 4.888 -8.272
F Mn Nb
6 3 1
direct
0.496 0.000 0.803
0.504 0.000 0.197
0.905 0.647 0.246
0.185 0.226 0.332
0.815 0.774 0.668
0.095 0.353 0.754
0.000 0.500 0.000
0.000 0.000 0.500
0.500 0.500 0.000
0.000 0.000 0.000
```

---

Entry 3:
[End of the materials data]

Of course, it will also concern itself with minimizing packaging, pioneering newer retail approaches; once again leveraging more on synergies with surrounding industries. Of course, there is still room for trade and exporting but it might be harder especially if the produce is perishable. Nevertheless, the idea is no longer to use economies of scale and efficiency to sell to the mass market and allow the whole capitalist-industrial complex to be built upon heaps of waste and trash.

What would a net zero business in your industry look like?

We spend a lot of time thinking about emission reduction. And it is all based on considering the existing state of affairs and how to move ahead from here. So we often consider how a process can be optimised to use less energy, or to use alternative materials. So a decarbonisation roadmap plays an important role in considering an existing business and how carbon emissions can be gradually eliminated from the workings of the business to transit it towards a low-carbon economy.

But just as important is how we can envision a new business to perform exactly the functions of an existing business but with zero carbon emissions. It is no longer about mapping or developing emissions baselines but rethinking how the same process can be achieved without emitting as much carbon. It is rethinking processes altogether. Heck, it might even involve rethinking products.

Major oil & gas companies are now refashioning themselves as provider of energy, competing with their customers who are power generators. Or they can think of continuing to supply the electricity generation players by going into mining and extracting of minerals and metals that are needed for wind turbines and solar panels. Or they could reconsider that they are actually logistics players ferrying molecules around and look into dealing more with chemicals transport. They could even consider themselves producers or inventors of new materials.

[Records of crystals, as found in the file]
VASP calculation (GGA-PBE) on a geometry-optimized CsPbI3 structure.

extended XYZ file:
```
20
Lattice="4.8787 0.0000 0.0000 0.0000 10.8119 0.0000 0.0000 0.0000 18.2132" Properties=species:S:1:pos:R:3 pbc="T T T"
I 1.2197 8.6195 5.2540
I 3.6590 5.0958 7.0732
I 3.6590 7.5983 14.3606
I 3.6590 3.6352 18.2022
I 1.2197 0.3102 16.1798
I 3.6590 2.1924 12.9591
I 3.6590 10.5017 2.0334
I 3.6590 9.0412 9.1176
I 1.2197 5.7161 11.1400
I 1.2197 1.7708 9.0956
I 1.2197 7.1767 0.0110
I 1.2197 3.2136 3.8525
Pb 3.6590 3.6628 10.2138
Pb 1.2197 7.1491 7.9993
Pb 1.2197 1.7431 1.1073
Pb 3.6590 9.0688 17.1059
Cs 1.2197 9.9296 12.2430
Cs 3.6590 0.8823 5.9702
Cs 1.2197 4.5236 15.0768
Cs 3.6590 6.2883 3.1364
```

Properties
The symmetry is Pnma. The energy relative to the elements is -6.3 eV/f.u.

---

VASP calculation (GGA-PBE) on a geometry-optimized CsPbI3 structure.

extended XYZ file:
```
20
Lattice="-1.4773 6.3770 5.9611 -7.8294 1.8226 -3.8901 -5.7559 -8.4581 7.6217" Properties=species:S:1:pos:R:3 pbc="T T T"
I -8.3630 -5.8076 8.0406
I -9.5604 -1.7005 2.1240
I -2.1575 0.7587 4.5513
I -12.1399 -5.4910 5.5397
I -5.4856 -0.8619 0.2395
I -9.2791 1.7586 5.0678
I -2.9227 5.2324 4.1530
I -5.7835 -2.0171 4.6249
I -5.5022 1.4419 7.5687
I -9.5770 0.6034 9.4532
I -12.9051 -1.0172 5.1414
I -6.6996 5.5491 1.6521
Cs -10.4639 5.9737 4.0656
Cs -4.5987 -6.2323 5.6270
Cs -5.8329 1.9706 3.1205
Cs -9.2297 -2.2291 6.5721
Pb -6.7926 -3.3178 1.8658
Pb -3.9147 0.9113 -1.9451
Pb -3.6166 -1.0406 6.7914
Pb -0.7387 3.1885 2.9805
```

Properties
The symmetry is Pnma. The energy relative to the elements is -6.2 eV/f.u.

---

VASP calculation (GGA-PBE) on a geometry-optimized Cs4PbI6 structure.

extended XYZ file:
```
22
Lattice="-4.2887 9.7049 0.1466 -8.0310 -3.4828 5.9978 5.3689 2.3959 8.8338" Properties=species:S:1:pos:R:3 pbc="T T T"
I -1.3019 1.8533 7.5515
I -5.6489 6.7648 7.4267
I -5.2354 2.6864 5.2467
I -3.9213 -0.9447 11.8062
I -8.4113 -0.2404 6.3150
I 1.4605 8.8584 8.6632
I -5.1859 2.8641 9.8860
I -1.7650 5.7540 5.0922
I -9.3169 6.6890 4.9100
I 2.3660 1.9290 10.0681
I -1.7154 5.9317 9.7314
I -3.0295 9.5628 3.1720
Cs -1.4054 2.3408 11.5124
Cs -8.3621 3.6285 7.5431
Cs -5.5454 6.2772 3.4658
Cs 1.4113 4.9895 7.4351
Cs -2.3965 9.1122 7.1563
Cs -1.7377 2.1545 3.7445
Cs -5.2131 6.4635 11.2336
Cs -4.5544 -0.4942 7.8218
Pb -3.4754 4.3090 7.4891
Pb 0.0000 0.0000 0.0000
```

Properties
The symmetry is R-3c. The energy relative to the elements is -16.9 eV/f.u.

---

VASP calculation (GGA-PBE) on a geometry-optimized Cs2RbYI6 structure.

extended XYZ file:
```
10
Lattice="2.5893 4.9507 7.3435 -6.1475 2.0891 6.5563 0.5630 -4.0007 8.2957" Properties=species:S:1:pos:R:3 pbc="T T T"
Cs -0.7488 0.7598 5.5489
Cs -2.2464 2.2793 16.6466
Rb -1.4976 1.5195 11.0977
Y 0.0000 0.0000 0.0000
I -2.6019 4.4780 12.5994
I -3.9896 1.8247 8.6639
I 0.9944 1.2143 13.5316
I -0.3933 -1.4389 9.5960
I -3.6879 -0.3193 13.1097
I 0.6927 3.3584 9.0857
```

Properties

This exercise can be repeated for other industries and we could potentially have very interesting outcomes.

Finding good people

Can people be talented in terms of their attitude and work ethic rather than in content? I think it is potentially harder to find good people who takes ownership in their work and do them well than so-called skilled people. Because our work and education system increasingly churn out lots of generalists in the market, education stops being a good system for sifting out the non-committed, the slackers and non-resilient.

We want the system to help everyone get a degree, get good jobs and get paid well but we forget that our market system continues to be built on the competitive premise of “may the best team win” – which is to say that at some space between the education system and our industries, something is going to snap.

To move away from creating broken systems or breaking one part of the system while trying to fix another part. You choose.

Forecasting scenarios

What sort of forecasting is better?

  • If this, then …
  • It will be …

The first makes assumptions explicit. The second hides the assumptions and takes them for granted.

In my work as a strategy consultant, I make extensive use of scenarios, and often we might not consider the likelihood of scenarios while constructing them. It matters because it helps us to immerse ourselves into a reality such that our construction of the reality is not affected by how likely we think it would be. It is more important to be able to extensively work our the implications of our assumptions at that stage.

Only after the scenario modelling is complete, it makes sense to step back and examine the assumptions, perform sensitivity analysis and consider how the outcomes are sensitive to some of the assumptions.

And then what? Then we consider likelihoods of those assumptions manifesting.

Do less work

This is not about quiet quitting. It is about doing good work. Sometimes you can only do this amount of good quality work and no more. Because good work takes time, effort and attention – all of them are short in supply. Work is not short in supply. There is plenty of work. But good work is, because there is only a limited amount of work that is actually worth doing.

The other work are mostly responses to corporate pressure, urges or itches from bosses, the kind of work that involves corporate politics, and so on. If we could all do less of those and focus on the good work, we can be sure the world will be better.

So if you’re in a place of influence, maybe focusing on a more fundamental cause of doing less work would be good. The world doesn’t need more work; it needs more good work.

Notions of additionality

What does additionality mean? There’s this idea that the activity needs to add on something to the existing context. This is a big matter in the case of renewable energies as people are speaking against carbon credits or renewable energy certificates that are actually not adding more renewable energy or removing carbon emissions from the atmosphere.

We are trying to create a system where incentives themselves are not blunted or abused. If for example, we introduce incentives to reduce rat infestation by rewarding those who catch rats, then you risk the abuse where people are breeding rats to be killed and submitted for incentives. The result of this unintended condition is that people are taking actions that may be contrary to what the original intent of the incentives were.

The world is trying to shift towards a low carbon world. Incentives ought to be rejigged and aligned towards reducing carbon emissions. Yet if we allow abuses and undermine the credibility of emission reductions, we’re hurting ourselves. If forest land owners are suddenly making new revenue streams for trees they are already protecting, it might be a problem that there is no additionality for the new carbon assets.

We should only be incentivising activities that will reduce the world’s carbon emissions. Or increasing its sequestration. The problem is that is hard to measure and align standards of what really counts.

Market for innovation

One of the biggest argument for capitalism and market economy is the promotion of innovation. Competition promotes innovation; and the common incentive of money (as a placeholder for all things monetised) helps to drive that competition. The challenge is that money is based on those who actually happen to get hold of a lot of it, no matter how.

Consequently, the market economy can develop a lot of innovations that are not useful. An additional brand of shampoo, or another design of reading glasses, or another variation of packaging. Yet these sometimes seemingly useless improvements can be incremental steps towards newer, disruptive products. So even during those times when money is seen to be chasing something frivilous, the march and progress in innovation can still be advancing.

Yet we are unlikely to rely purely on the movements in the market to develop innovations that we as humans truly need. Often, innovations that eventually change the world involves some degree of intentionality and sense of mission. The market for innovation isn’t as much about dollars and cents, as compared with purpose and mission.